

  • PTR Notes: Natural Perfection and Focused Will 2.0

    Eliah Hecht
    Eliah Hecht

    As of the next push to the patch 2.3 PTR, the Druid Restoration talent Natural Perfection will be enhanced:The restoration talent, natural perfection will now also (upon the next data push to the public test realms), grant the natural perfection effect after being critically hit, reducing all damage taken by 1/2/3% for 6 seconds. This will stacks up to 5 times. (Eyonix)This is in addition to its current effect: "Your critical strike chance with all spells is increased by 1/2/3% and melee and ranged critical strikes against you cause 4/8/12% less damage." Natural Perfection requires 30 points in Resto. If you have any feedback on that, feel free to drop a post on Eyonix over at the thread, which he promises to read throughout the day. Or leave a comment here, which I will read throughout the day, but no guarantees of it reaching the devs.The saga of the new Priest Discipline talent Focused Will continues. Here is the new version:The new discipline talent, focused will, has been redesigned. Once the next data push to the public test realms occur, upon taking a critical hit you gain the focused will effect, which will reduce all damage taken by 1/2/3% and increase healing effects on you by 2/4/6% for 6 seconds, and will stacks up to five times. (Eyonix)Like above, go over to the thread if you want to give Eyonix your opinion on it. I definitely like it better than the first version ("after taking a critical hit you gain the Focused Will effect, reducing critical damage taken by 10/20/30% and increasing healing on you by 10/20/30% for 6 sec"), and I do think it achieves the stated goal of providing an alternative to Blessed Resilience for those who would rather go deep Discipline. It could be a little stronger, though, especially considering how deep it is (requires 30 in Disc).

  • Totem Talk: Pre-raid gear - belts, bracers and boots

• What comes next are data records, not part of the page:
┌──
Theoretical X-ray diffraction stick pattern
Compound: CsMg3Tl3
Radiation: copper Kα
Structure: a cell relaxed with PBE
Peak positions follow from Bragg's law for the DFT cell and can differ from measured ones.

Main lines, sorted by position (5° ≤ 2θ ≤ 70°):
index  2θ/deg  I (rel.)
2 0 0  21.7  35
2 1 0  24.3  100
2 1 1  26.6  85
3 2 0  39.6  29
3 2 1  41.2  53
4 2 1  51.0  28

Crystal structure
```
data_CsMg3Tl3
_cell_length_a 8.1998
_cell_length_b 8.1998
_cell_length_c 8.1998
_cell_angle_alpha 90.00
_cell_angle_beta 90.00
_cell_angle_gamma 90.00
_space_group_name_H-M_alt 'P m -3 n'
_space_group_IT_number 223
_space_group_name_Hall '-P 4n 2 3'
loop_
_atom_site_label
_atom_site_type_symbol
_atom_site_fract_x
_atom_site_fract_y
_atom_site_fract_z
_atom_site_occupancy
Cs1 Cs 0.0000 0.0000 0.0000 1
Mg1 Mg 0.0000 0.2500 0.5000 1
Tl1 Tl 0.0000 0.5000 0.2500 1
```

~~~~~

Simulated XRD peak list
Compound: Ac2CrTcO8
Radiation: Cu Kα, 1.54184 Å
Structure: a crystal structure in Alexandria, relaxed with PBE+U
No peak broadening, texture or thermal motion is included.

Largest 10 diffraction maxima, sorted by position, 2θ from 10° to 90°:
21.43°, rel. 100, (1 1 1); 23.06°, rel. 89, (0 1 -1); 26.18°, rel. 56, (1 -1 0); 27.47°, rel. 75, (1 0 -1); 30.07°, rel. 56, (1 0 2); 32.06°, rel. 37, (0 1 2); 32.52°, rel. 44, (0 2 1); 33.22°, rel. 41, (1 2 0); 35.58°, rel. 31, (2 0 1); 41.60°, rel. 31, (1 -2 1)

Structure:
```
data_Ac2CrTcO8
_chemical_formula_sum 'Ac2 Cr1 Tc1 O8'
_space_group_name_H-M_alt 'P -1'
_space_group_IT_number 2
_space_group_name_Hall '-P 1'
_cell_length_a 5.220
_cell_length_b 6.011
_cell_length_c 6.373
_cell_angle_alpha 77.54
_cell_angle_beta 69.15
_cell_angle_gamma 76.11
loop_
_atom_site_label
_atom_site_type_symbol
_atom_site_fract_x
_atom_site_fract_y
_atom_site_fract_z
Ac1 Ac 0.127 0.179 0.152
Cr1 Cr 0.500 0.000 0.500
Tc1 Tc 0.500 0.500 0.500
O1 O 0.266 0.804 0.448
O2 O 0.269 0.474 0.806
O3 O 0.288 0.323 0.436
O4 O 0.303 0.963 0.832
```
└──

    Matthew Rossi
    Matthew Rossi

    Totem Talk is the column for shamans. Matthew Rossi found himself sucked into a frenzy of Kara key runs this week, healing and DPSing, and as a result finds himself thinking about pre-Kara loot for shammies, who are after all the class this column is about. So I and my guildmates in the Consummate Vees, Horde-side Malfurion, did some key runs this week. (No, I'm not going to tell you my toon's name, it's a super-duper secret, but I will give you a hint: it starts with the letter V.) It's our hope to get back into semi-serious raiding shape by the time Zul'Aman comes out, and since I'm still working on my elemental set for when I switch specs (I like Resto, don't get me wrong, but I'm antsy to try something new) I started looking at gear options. I'm lucky enough to have a couple of nice epic Kara pieces for an elemental shammy (the Ring of Unrelenting Storms and the Big Bad Wolf's Head) but in general, most of my gear is gemmed out for healing.Since gearing up is part of the game, especially as you prepare for raiding, I thought it wouldn't hurt to talk over some options. The only limitations I'm imposing on myself are that I will only talk about mail pieces, and I can't cover gear for three separate specs in any comprehensive way so I'm just doing a few for each slot for each spec. (Also a note for lower level shamans - I'm testing stuff out on the PTR and will have a post about gearing up your lower level shaman with the 2.3 changes soon.) This time we'll cover belts, bracers and boots for the three specs, as well as some generic pieces that can fill a need for more variety. Belts, bracers and boots are often the hardest things to find since they're not often covered in the new dungeon sets, so it seemed to make sense to start with them first.Okay. As yet another aside, in light of last week's post about dual wielding and enhancement shamans, I present unto you Rage and Fury. I expect a lot of arguments to erupt between Fury Warriors, Rogues and Shamans over these, but whatever else can be said it cannot be denied that these are two sweet 2.6 speed fists. If I were a deluded egomaniac I'd be tempted to believe that someone at Blizzard reads my posts. But I know they don't. I made myself sad. Anyway, onto gear options.

  • Community class review from the EU: Druids

    David Bowers
    David Bowers

    The EU community MVP Schwick is really great at compiling lots of good info. In the past, he's done compilations on issues raised by the community for Hunters, Priests, and Rogues, as well as a bunch of other stuff. Now he's come up with the first draft of his compilation on Druids. He asked forum-goers what their main problems with the Druid class are, sifted through all the responses, and put them together in a very readable format for the Blizzard devs (and other players) to have a look at.It seemed to me that most of the Druid issues had to do with items and abilities not scaling so well in endgame raids after Karazhan. There were some points that addressed other general issues, as well as arena PvP, but overall casual druids seemed pretty content. There wasn't even any mention of the graphical updates to the shapeshifted forms that many druids have been asking for.Keep checking the thread to see what additional thoughts the players had, and to see future drafts of the compiled suggestions.

**The piece is interrupted by crystal structures:**
____________
For AlZn2Ir, a crystal structure in Alexandria, relaxed with GGA-PBE gives the computed X-ray powder pattern in this record (Cu Kα X-rays).
Neutral-atom scattering factors, no anomalous dispersion.

Largest 12 diffraction maxima, low angle first, 5 to 70 degrees two-theta:
(hkl)  two_theta  d_spacing  intensity
0 0 2  22.80  3.900  22
1 0 1  26.01  3.426  39
1 1 0  33.22  2.696  18
1 1 2  40.68  2.218  100
1 0 3  42.06  2.148  11
0 0 4  46.58  1.950  17
2 0 0  47.70  1.907  32
2 0 2  53.49  1.713  9
2 1 1  55.13  1.666  11
1 1 4  58.41  1.580  7
2 0 4  68.87  1.363  21
2 2 0  69.75  1.348  10

Cell and atoms:
```
data_AlZn2Ir
_space_group_name_H-M_alt 'I -4 m 2'
_space_group_IT_number 119
_space_group_name_Hall 'I -4 -2'
_cell_length_a 3.8134
_cell_length_b 3.8134
_cell_length_c 7.7996
_cell_angle_alpha 90.00
_cell_angle_beta 90.00
_cell_angle_gamma 90.00
loop_
_atom_site_label
_atom_site_type_symbol
_atom_site_fract_x
_atom_site_fract_y
_atom_site_fract_z
Al1 Al 0.0000 0.0000 0.0000
Zn1 Zn 0.0000 0.0000 0.5000
Zn2 Zn 0.0000 0.5000 0.2500
Ir1 Ir 0.0000 0.5000 0.7500
```

* * * * *

The following is a calculated powder diffraction line list of Sm3CuAg2. It was derived from a DFT-relaxed cell (PBE, Alexandria), using Cu Kα, 1.54184 Å.

Atomic structure:
a b c (Å): 5.1930 5.1930 12.6723
angles (deg): 90.00 90.00 120.00
Space group P-3m1 (No. 164)
Unique sites:
Sm (0.0000, 0.0000, 0.2443) x2
Sm (0.3333, 0.6667, 0.4105) x2
Sm (0.3333, 0.6667, 0.9169) x2
Cu (0.3333, 0.6667, 0.1636) x2
Ag (0.0000, 0.0000, 0.0000) x1
Ag (0.0000, 0.0000, 0.5000) x1
Ag (0.3333, 0.6667, 0.6654) x2

Top 10 peaks for 10 to 80 degrees two-theta, in order of falling intensity:
34.6 deg, d 2.593, I = 100, hkl 1 1 0; 61.9 deg, d 1.498, I = 27, hkl 3 0 0; 49.7 deg, d 1.834, I = 18, hkl 0 2 4; 62.1 deg, d 1.494, I = 9, hkl 0 1 8; 72.9 deg, d 1.298, I = 6, hkl 2 2 0; 24.3 deg, d 3.667, I = 5, hkl 0 1 2; 73.1 deg, d 1.295, I = 5, hkl 2 0 8; 42.7 deg, d 2.119, I = 1, hkl 2 0 2; 56.0 deg, d 1.642, I = 1, hkl 1 2 2; 56.1 deg, d 1.638, I = 1, hkl 1 1 6

The following is a calculated powder diffraction line list of PrDy14Pu. It was derived from a DFT-relaxed cell (PBE, Alexandria), using Cu Kα, 1.54184 Å.

Atomic structure:
a b c (Å): 11.2868 7.2292 12.4975
angles (deg): 90.00 90.00 90.00
Space group Amm2 (No. 38)
Unique sites:
Pr (0.0000, 0.0000, 0.0000) x2
Dy (0.0000, 0.2493, 0.7495) x4
Dy (0.2479, 0.0000, 0.3347) x4
Dy (0.2497, 0.2470, 0.5824) x8
Dy (0.2535, 0.0000, 0.8327) x4
Dy (0.5000, 0.0000, 0.0001) x2
Dy (0.5000, 0.0000, 0.5001) x2
Dy (0.5000, 0.2498, 0.2499) x4
Pu (0.0000, 0.0000, 0.5007) x2

Top 10 peaks for 10 to 80 degrees two-theta, in order of falling intensity:
____________
**Back to the piece:**

  • Shifting Perspectives: Drops for Druids in Zul'Aman

    Dan O'Halloran
    Dan O'Halloran

    Every Tuesday, Shifting Perspectives explores issues affecting druids and those who group with them, brought to you by David Bowers and Dan O'Halloran. Patch 2.3 has hit the PTR and the new itemization has some very interesting items for druids of every spec. The new equipment is coming from three sources: the new 10-man raid zone, Zul'Aman, the Arena Season 3 vendor and the new Badges of Justice rewards. Today I'm going to focus on the Zul'Aman drops. Here's a list by boss:Nalorakk the Bear Avatar(Cat) Bladeangel's Money Belt (Leather Waist) 227 AC, +25agi, +27sta, Blue Socket, +4atk socket bonus, +21 crit, +58 atk, 77 armor negation. A solid upgrade to the Girdle of Treachery from Karazhan, but not quite as good if you can get a Belt of Deep Shadow crafted. Arguably, one of the top 3 or 4 belts in the game. Be ready to /roll against rogues for this belt for your Cat Druid.

  • Resto PvP Druid FTW!

    Dan O'Halloran
    Dan O'Halloran

    Mookysolo of the Ner'zhul server has written a PVP guide for Restoration druids. And by "guide" I mean eight enormous posts that take up almost an entire forum page. In that marathon listing, you'll find the three best pieces of equipment per slot, recommended enchants, jewels by color, different talent builds, recommended strategies, theorycraft, mathcraft and a FAQ. To say that it's thorough would be an understatement. He also provides two movies of his PvP exploits for your enjoyment.For another perspective on the same subject, be sure to check out another Resto PvP Guide on the European forums. Many interesting strategies listed and more movies at the end of that post.EDIT: I've rewritten the tone of the post to reflect the lack of surprise on behalf of PvP players of the dominance of Resto Druids. Clearly I don't PvP, but my intent here was to pass on an excellent guide I came across. I've altered the tone of the post to be more informational and in the future, I'll put my reaction in context.That being said, I'm always impressed when players manage to excel with a "gimped" spec. I'll see if I can find such a case for PvP and post it for you guys.Thanks for the feedback..

  • Shifting Perspectives: How to group with a Druid part 3

    Dan O'Halloran
    Dan O'Halloran

    Every Tuesday, Shifting Perspectives explores issues affecting druids and those who group with them, brought to you by David Bowers and Dan O'Halloran. This it the last in a series of features talking about How To Group With A Druid. I've already covered bear tanks, cat druids and Moonkin. Today, I will be exploring what Restoration druids bring to a 5 man group as well as what they don't do. If you feel I've left out any important points, be sure to leave a comment below! We love comments like healers love aggro control. WHAT TO EXPECT FROM A RESTORATION DRUID HEALING: Druids are built to be solid healers in both regular and heroic 5 man instances. They don't have to drop 40+ talent points to be good at it. Don't be surprised if you're druid healer is actually specced 31 points in Balance and 30 points in Restoration. That's more than enough for them to get you through alive. On the other hand, don't be screaming for healing non-stop if you are not the main tank. It's your job to control your aggro, not the healers job to blow half his mana on non-tanks. I understand mistakes happen, wandering mobs appear out of nowhere, the MT gets overwhelmed and loses control of an add or two. But if the healer is dumping more healing on you than the MT for every encounter, you need to scale back your dps or talk to your tank about their taunt tactics.

Starting from a structure optimized by DFT (GGA-PBE), the powder diffraction line list of Li3BiB4O9 was calculated for CuKα.
Kinematic intensities with the Lorentz-polarization factor, no thermal factor.

Top 10 peaks for 10 to 90 degrees two-theta, low angle first:
hkl 0 0 1, 12.28°, rel. 76; hkl 1 0 -1, 17.09°, rel. 99; hkl 1 1 0, 19.40°, rel. 66; hkl 0 2 0, 20.99°, rel. 68; hkl 0 2 1, 24.39°, rel. 62; hkl 1 1 1, 25.66°, rel. 100; hkl 1 2 -1, 27.20°, rel. 38; hkl 1 2 -2, 32.89°, rel. 54; hkl 2 1 0, 34.66°, rel. 37; hkl 1 3 0, 35.86°, rel. 64

Crystal structure
```
data_Li3BiB4O9
_space_group_name_H-M_alt 'P 1 21/m 1'
_space_group_IT_number 11
_space_group_name_Hall '-P 2yb'
_cell_length_a 5.723
_cell_length_b 8.463
_cell_length_c 7.585
_cell_angle_alpha 90.00
_cell_angle_beta 108.17
_cell_angle_gamma 90.00
loop_
_atom_site_label
_atom_site_type_symbol
_atom_site_fract_x
_atom_site_fract_y
_atom_site_fract_z
_atom_site_occupancy
Li1 Li 0.053 0.250 0.463 1
Li2 Li 0.306 0.521 0.749 1
Bi1 Bi 0.145 0.250 0.059 1
B1 B 0.207 0.546 0.313 1
B2 B 0.404 0.750 0.555 1
B3 B 0.494 0.250 0.733 1
O1 O 0.035 0.070 0.243 1
O2 O 0.234 0.608 0.488 1
O3 O 0.290 0.250 0.803 1
O4 O 0.344 0.604 0.204 1

  • Innervate: Trainable Skill in Patch 1.11

    Elizabeth Harper
    Elizabeth Harper

    In patch 1.11, the druid's 31-point restoration talent Innvervate will be made a trainable skill.  Replacing Innervate is a new talent called Swiftmend, which will consume a rejuvenation or regrowth effect to produce an instant heal (if you're familiar with the warlock's Conflagrate talent, it seems to be the same concept).  This should come as welcome news for raiding druids, who have long since been forced into restoration talent builds due to many guilds' requirement for Innervate.  Hopefully this change will allow end-game druids more flexibility to pick talent specs based on how they enjoy playing their characters, rather than their guilds' need for Innervate.